Start at the top of the notes further below and quote each line, ending with the one that has "Zr5CoSb3 after".
********
[1]
VASP calculation (r²SCAN) on Ca2P2O7 after structural relaxation.

Lattice parameters (Å, degrees): 8.4955 5.3240 13.7353 67.04 90.00 90.00
Fractional positions:
Ca1 0.8130 0.4920 0.7654
Ca2 0.6126 0.1728 0.5900
Ca3 0.3874 0.8272 0.4100
Ca4 0.8874 0.1728 0.0900
Ca5 0.1126 0.8272 0.9100
Ca6 0.6870 0.4920 0.2654
Ca7 0.1870 0.5080 0.2346
Ca8 0.3130 0.5080 0.7346
O1 0.1565 0.0111 0.3368
O2 0.4022 0.7786 0.2366
O3 0.8542 0.6045 0.9161
O4 0.2404 0.4182 0.9110
O5 0.6565 0.9889 0.1632
O6 0.5978 0.2214 0.7634
O7 0.0862 0.2011 0.5656
O8 0.8409 0.0362 0.9460
O9 0.1591 0.9638 0.0540
O10 0.7596 0.5818 0.0890
O11 0.6458 0.6045 0.4161
O12 0.1458 0.3955 0.0839
O13 0.3435 0.0111 0.8368
O14 0.7404 0.5818 0.5890
O15 0.2596 0.4182 0.4110
O16 0.6591 0.0362 0.4460
O17 0.4672 0.2297 0.2420
O18 0.0978 0.7786 0.7366
O19 0.5328 0.7703 0.7580
O20 0.8435 0.9889 0.6632
O21 0.9138 0.7989 0.4344
O22 0.4138 0.2011 0.0656
O23 0.3409 0.9638 0.5540
O24 0.0328 0.2297 0.7420
O25 0.9022 0.2214 0.2634
O26 0.9672 0.7703 0.2580
O27 0.3542 0.3955 0.5839
O28 0.5862 0.7989 0.9344
P1 0.9880 0.9536 0.3191
P2 0.2354 0.2410 0.0272
P3 0.0120 0.0464 0.6809
P4 0.7354 0.7590 0.4728
P5 0.4880 0.0464 0.1809
P6 0.7646 0.7590 0.9728
P7 0.2646 0.2410 0.5272
P8 0.5120 0.9536 0.8191

Calculated values
The magnetic moment is 0.00 μB/cell. As for the space-group type: P2_1/c (14). The calculation puts the uncorrected energy at -9.738 eV per atom. For the formation energy, the calculation gives -3021 meV per atom.


[2]
VASP calculation (r²SCAN) on PrSb12Os4 after structural relaxation.

Lattice parameters (Å, degrees): 8.1119 8.1119 8.1119 109.47 109.47 109.47
Fractional positions:
Sb1 0.8430 0.6601 0.5030
Sb2 0.1570 0.6601 0.8171
Sb3 0.5030 0.8430 0.6601
Sb4 0.6601 0.5030 0.8430
Sb5 0.4970 0.1570 0.3399
Sb6 0.1570 0.3399 0.4970
Sb7 0.8430 0.3399 0.1829
Sb8 0.1829 0.8430 0.3399
Sb9 0.3399 0.4970 0.1570
Sb10 0.6601 0.8171 0.1570
Sb11 0.8171 0.1570 0.6601
Sb12 0.3399 0.1829 0.8430
Os1 0.5000 0.5000 0.5000
Os2 0.5000 0.0000 0.0000
Os3 0.0000 0.0000 0.5000
Os4 0.0000 0.5000 0.0000
Pr1 0.0000 0.0000 0.0000

Calculated values
The magnetic moment is 0.00 μB/cell. As for the space-group type: Im-3 (204). The calculation puts the uncorrected energy at -32.582 eV per atom. For the formation energy, the calculation gives -240 meV per atom.


[3]
VASP calculation (r²SCAN) on KV3CdCu4O13 after structural relaxation.

Lattice parameters (Å, degrees): 6.1719 8.3847 10.7374 97.52 90.00 90.00
Fractional positions:
Cu1 0.9977 0.8899 0.7226
Cu2 0.7500 0.8577 0.4378
Cu3 0.0023 0.1101 0.2774
Cu4 0.2500 0.3918 0.3959
Cu5 0.5023 0.8899 0.7226
Cu6 0.2500 0.1423 0.5622
Cu7 0.4977 0.1101 0.2774
Cu8 0.7500 0.6082 0.6041
V1 0.7500 0.1813 0.6183
V2 0.7500 0.4673 0.2935
V3 0.2500 0.8572 0.9935
V4 0.2500 0.8187 0.3817
V5 0.7500 0.1428 0.0065
V6 0.2500 0.5327 0.7065
O1 0.4908 0.8759 0.3084
O2 0.7500 0.0759 0.1674
O3 0.9689 0.2592 0.9882
O4 0.2500 0.9103 0.5354
O5 0.0208 0.6536 0.7077
O6 0.7500 0.3816 0.6176
O7 0.2500 0.1585 0.3831
O8 0.7500 0.8415 0.6169
O9 0.2500 0.9241 0.8326
O10 0.9792 0.3464 0.2923
O11 0.5311 0.2592 0.9882
O12 0.2500 0.3767 0.5812
O13 0.4792 0.6536 0.7077
O14 0.2500 0.6184 0.3824
O15 0.2500 0.4509 0.8402
O16 0.4689 0.7408 0.0118
O17 0.2500 0.0187 0.1047
O18 0.7500 0.0897 0.4646
O19 0.7500 0.9813 0.8953
O20 0.5208 0.3464 0.2923
O21 0.0311 0.7408 0.0118
O22 0.0092 0.8759 0.3084
O23 0.9908 0.1241 0.6916
O24 0.7500 0.5491 0.1598
O25 0.7500 0.6233 0.4188
O26 0.5092 0.1241 0.6916
K1 0.7500 0.5128 0.8938
K2 0.2500 0.4872 0.1062
Cd1 0.2500 0.1940 0.8647
Cd2 0.7500 0.8060 0.1353

Calculated values
The magnetic moment is 8.00 μB/cell. As for the space-group type: P2_1/m (11). The calculation puts the uncorrected energy at -10.387 eV per atom. For the formation energy, the calculation gives -1777 meV per atom.


[4]
VASP calculation (r²SCAN) on Zr5CoSb3 after structural relaxation.

Lattice parameters (Å, degrees): 5.7875 8.6243 8.6243 120.00 90.00 90.00
Fractional positions:
Sb1 0.2500 0.0000 0.3905
********
[1]
VASP calculation (r²SCAN) on Ca2P2O7 after structural relaxation.

Lattice parameters (Å, degrees): 8.4955 5.3240 13.7353 67.04 90.00 90.00
Fractional positions:
Ca1 0.8130 0.4920 0.7654
Ca2 0.6126 0.1728 0.5900
Ca3 0.3874 0.8272 0.4100
Ca4 0.8874 0.1728 0.0900
Ca5 0.1126 0.8272 0.9100
Ca6 0.6870 0.4920 0.2654
Ca7 0.1870 0.5080 0.2346
Ca8 0.3130 0.5080 0.7346
O1 0.1565 0.0111 0.3368
O2 0.4022 0.7786 0.2366
O3 0.8542 0.6045 0.9161
O4 0.2404 0.4182 0.9110
O5 0.6565 0.9889 0.1632
O6 0.5978 0.2214 0.7634
O7 0.0862 0.2011 0.5656
O8 0.8409 0.0362 0.9460
O9 0.1591 0.9638 0.0540
O10 0.7596 0.5818 0.0890
O11 0.6458 0.6045 0.4161
O12 0.1458 0.3955 0.0839
O13 0.3435 0.0111 0.8368
O14 0.7404 0.5818 0.5890
O15 0.2596 0.4182 0.4110
O16 0.6591 0.0362 0.4460
O17 0.4672 0.2297 0.2420
O18 0.0978 0.7786 0.7366
O19 0.5328 0.7703 0.7580
O20 0.8435 0.9889 0.6632
O21 0.9138 0.7989 0.4344
O22 0.4138 0.2011 0.0656
O23 0.3409 0.9638 0.5540
O24 0.0328 0.2297 0.7420
O25 0.9022 0.2214 0.2634
O26 0.9672 0.7703 0.2580
O27 0.3542 0.3955 0.5839
O28 0.5862 0.7989 0.9344
P1 0.9880 0.9536 0.3191
P2 0.2354 0.2410 0.0272
P3 0.0120 0.0464 0.6809
P4 0.7354 0.7590 0.4728
P5 0.4880 0.0464 0.1809
P6 0.7646 0.7590 0.9728
P7 0.2646 0.2410 0.5272
P8 0.5120 0.9536 0.8191

Calculated values
The magnetic moment is 0.00 μB/cell. As for the space-group type: P2_1/c (14). The calculation puts the uncorrected energy at -9.738 eV per atom. For the formation energy, the calculation gives -3021 meV per atom.


[2]
VASP calculation (r²SCAN) on PrSb12Os4 after structural relaxation.

Lattice parameters (Å, degrees): 8.1119 8.1119 8.1119 109.47 109.47 109.47
Fractional positions:
Sb1 0.8430 0.6601 0.5030
Sb2 0.1570 0.6601 0.8171
Sb3 0.5030 0.8430 0.6601
Sb4 0.6601 0.5030 0.8430
Sb5 0.4970 0.1570 0.3399
Sb6 0.1570 0.3399 0.4970
Sb7 0.8430 0.3399 0.1829
Sb8 0.1829 0.8430 0.3399
Sb9 0.3399 0.4970 0.1570
Sb10 0.6601 0.8171 0.1570
Sb11 0.8171 0.1570 0.6601
Sb12 0.3399 0.1829 0.8430
Os1 0.5000 0.5000 0.5000
Os2 0.5000 0.0000 0.0000
Os3 0.0000 0.0000 0.5000
Os4 0.0000 0.5000 0.0000
Pr1 0.0000 0.0000 0.0000

Calculated values
The magnetic moment is 0.00 μB/cell. As for the space-group type: Im-3 (204). The calculation puts the uncorrected energy at -32.582 eV per atom. For the formation energy, the calculation gives -240 meV per atom.


[3]
VASP calculation (r²SCAN) on KV3CdCu4O13 after structural relaxation.

Lattice parameters (Å, degrees): 6.1719 8.3847 10.7374 97.52 90.00 90.00
Fractional positions:
Cu1 0.9977 0.8899 0.7226
Cu2 0.7500 0.8577 0.4378
Cu3 0.0023 0.1101 0.2774
Cu4 0.2500 0.3918 0.3959
Cu5 0.5023 0.8899 0.7226
Cu6 0.2500 0.1423 0.5622
Cu7 0.4977 0.1101 0.2774
Cu8 0.7500 0.6082 0.6041
V1 0.7500 0.1813 0.6183
V2 0.7500 0.4673 0.2935
V3 0.2500 0.8572 0.9935
V4 0.2500 0.8187 0.3817
V5 0.7500 0.1428 0.0065
V6 0.2500 0.5327 0.7065
O1 0.4908 0.8759 0.3084
O2 0.7500 0.0759 0.1674
O3 0.9689 0.2592 0.9882
O4 0.2500 0.9103 0.5354
O5 0.0208 0.6536 0.7077
O6 0.7500 0.3816 0.6176
O7 0.2500 0.1585 0.3831
O8 0.7500 0.8415 0.6169
O9 0.2500 0.9241 0.8326
O10 0.9792 0.3464 0.2923
O11 0.5311 0.2592 0.9882
O12 0.2500 0.3767 0.5812
O13 0.4792 0.6536 0.7077
O14 0.2500 0.6184 0.3824
O15 0.2500 0.4509 0.8402
O16 0.4689 0.7408 0.0118
O17 0.2500 0.0187 0.1047
O18 0.7500 0.0897 0.4646
O19 0.7500 0.9813 0.8953
O20 0.5208 0.3464 0.2923
O21 0.0311 0.7408 0.0118
O22 0.0092 0.8759 0.3084
O23 0.9908 0.1241 0.6916
O24 0.7500 0.5491 0.1598
O25 0.7500 0.6233 0.4188
O26 0.5092 0.1241 0.6916
K1 0.7500 0.5128 0.8938
K2 0.2500 0.4872 0.1062
Cd1 0.2500 0.1940 0.8647
Cd2 0.7500 0.8060 0.1353

Calculated values
The magnetic moment is 8.00 μB/cell. As for the space-group type: P2_1/m (11). The calculation puts the uncorrected energy at -10.387 eV per atom. For the formation energy, the calculation gives -1777 meV per atom.


[4]
VASP calculation (r²SCAN) on Zr5CoSb3 after structural relaxation.